Intimacy Minus Sex Equals Cuddling


Let’s talk about intimacy. It’s that gross word your mother uses to ask you if you’re having sex, but remove sex completely from the picture for a second. defines intimacy as, “a close, familiar, and usually affectionate or loving personal relationship with another person or group.” Well, intimacy and consensual touch can now be bought and paid for. Cuddling in order to heal psychological wounds or anxieties is the latest trend sweeping the nation.

“I have an equal passion for business and the concept of yoga and finding out who you are and sort of anything related to that. That intersection of spirituality, business, and health and wellness is the Cuddlist,” says Adam Lippin, the founder of the Cuddlistan online business that allows users to, after extensive screening, pay to snuggle with a professional cuddlist.

Cuddlists are trained professionals stationed around the world, often former massage therapists or psychotherapists who have become Cuddlists because they knew many of their clients really needed physical affection; however, within the boundaries of their own professions, this is illegal.  

The Cuddlists go through an 8-10 hour online training course combined with a mandatory cuddle session with a certified and employed Cuddlist. The pre-existing Cuddlist evaluates the candidate at the end of the session. Through this training they are taught how to be psychologically present with other people as well as how to facilitate conversation about consent. This means teaching people how to be verbal about what do or don’t like regarding physical touch.   

“If you are a potential client, then you would go to our website and read our code of conduct, then search by location for a particular Cuddlist,” says Lippin. Small biographies about the Cuddlist coupled with photographs of them are available online so the client can find his/her perfect match. The complexity lies in the need for cuddling, which is ultimately something quite beautiful.

“My underlying philosophy was that human connection is the most important thing we have,” Lippin explains. “So how do I help foster that?”

- - -
1.
- - -

People do not venture to the Cuddlist to find sex. “I think it is more than possible to separate intimacy from sex. I have experienced it and I have seen multiple people experience it,” says Lippin. Many people who inquire about a session are suffering from depression, anxiety or other forms of mental illness, or are survivors of sexual assault.

Once the process of finding a Cuddlist is complete, the client requests a session with the Cuddlist and signs off on the code of conduct. These extensive rules ensures the safety of the Cuddlist and client. It outlines the boundaries of the cuddling sessions and the importance of verbal consent throughout each session. It even outlines where the Cuddlist may or may not touch a person and addresses what both parties must be wearing.

“At that point the request is sent to the particular Cuddlist’s email and they will respond to the potential client. And depending on what the Cuddlist needs to do, they screen the client to make sure that he or she  is appropriate for them, and vice versabe that a phone call, an email, or a meeting in person,” says Lippin.  

The next step is to meet with the Cuddlist for the session. This happens at the client’s or Cuddlist’s home, depending on where both parties feel comfortable.

“I guess the thing that I try to impress upon people is that, especially when you are in your 20s and 30s, you’re really conditioned for sex. But once you’re in your 50s and 60s and sometimes older and you have had some loss, there comes a point when sex doesn’t serve them anymore,” says Lippin. “People are looking for a connection. It’s not a sexual thing.”

Cuddling is following in the footsteps of other healing models that were previously not recognized or completely discredited by mainstream society. For example, acupuncture and alternative medicine are only recently more widely recognized as legitimate wellness practices. Lippin’s ultimate goal is to have cuddling medically accepted and covered by insurance. Before this can happen, he must change people’s ideas about the “cuddling market.” Currently, paying someone to cuddle seems a bit taboo and isn’t often thought of as reputable. Lippin aims to shed new light on the business.

“Holding someone and healing someone and having them feel your breath… There’s a sort of magic to it. It’s energy, pure energy,” says Lippin.

In the near future, the Cuddlist will participate in a study conducted by the University of San Diego. The school will examine the ethics of cuddling and the effects it has on people. Prior to cuddling, the participants will fill out an evaluation answering questions ranging from their likes and dislikes to a sliding scale of their mood. For example, participants will rank their compassion for others and the amount of positive and negative emotions they are feeling at the moment of the evaluation. They’ll fill out the same evaluation after their session.

# Between two parts of the text: calculated molecules
/*
No. 1
{"formula": "C5H8N2", "method": "wB97M-V/def2-TZVPD", "species": ["C", "C", "C", "N", "C", "N", "C", "H", "H", "H", "H", "H", "H", "H", "H"], "xyz": [[0.599, 1.661, -1.904], [0.396, 0.649, -0.514], [-0.714, -0.074, -0.403], [-0.845, -1.056, 0.609], [-0.269, -0.927, 1.820], [-0.391, -2.052, 2.543], [1.626, 1.161, -0.541], [1.144, 2.608, -1.945], [0.812, 1.050, -2.778], [-0.460, 1.956, -1.868], [-1.572, 0.105, -1.042], [-1.281, -1.930, 0.309], [-0.029, -2.072, 3.480], [-0.840, -2.910, 2.221], [1.801, 2.028, 0.103]], "forces_ev_per_a": [[-0.19, 0.17, -0.46], [0.12, 0.04, -0.03], [0.08, 0.18, -0.10], [0.19, 0.04, 0.18], [-0.29, -0.45, -0.21], [0.05, 0.05, 0.11], [-0.23, -0.16, 0.24], [-0.05, -0.16, 0.09], [0.00, 0.08, 0.18], [0.12, -0.02, 0.04], [0.17, -0.02, 0.10], [0.07, 0.14, 0.10], [-0.05, 0.04, -0.16], [0.07, 0.18, 0.01], [-0.06, -0.09, -0.09]], "e_above_lowest_ev": 6.0034, "total_energy_ev": -8288.9930}

No. 2
{"formula": "C5H8N2", "method": "wB97M-V/def2-TZVPD", "species": ["C", "C", "C", "C", "C", "N", "N", "H", "H", "H", "H", "H", "H", "H", "H"], "xyz": [[1.274, 0.246, -2.223], [0.960, 2.230, -0.205], [0.364, 1.207, 0.350], [-0.634, 1.387, 1.510], [0.426, -1.852, -1.973], [0.196, -0.182, -0.132], [0.692, -0.514, -1.409], [1.541, 2.285, -1.094], [-1.755, 1.229, 1.369], [-0.240, 0.884, 2.345], [-0.479, 2.471, 1.759], [1.009, -2.003, -2.946], [-0.682, -2.040, -2.138], [0.755, -2.566, -1.292], [-0.606, -0.634, 0.245]], "forces_ev_per_a": [[0.97, 1.87, -0.07], [0.10, -1.28, -0.20], [-2.92, -1.62, -0.43], [0.21, 2.48, -0.57], [-1.30, -0.20, -1.47], [1.91, 1.87, 0.56], [-1.08, -0.67, -0.60], [0.62, 0.51, -0.61], [1.69, -0.13, -0.27], [0.03, -1.03, 1.28], [-0.57, -0.88, 0.01], [-0.99, 0.58, 1.48], [1.26, 0.51, 0.07], [0.66, -1.39, 1.29], [-0.59, -0.62, -0.46]], "e_above_lowest_ev": 8.1936, "total_energy_ev": -8286.8028}

No. 3
{"formula": "C5H8N2", "method": "wB97M-V/def2-TZVPD", "species": ["C", "C", "N", "C", "C", "N", "C", "H", "H", "H", "H", "H", "H", "H", "H"], "xyz": [[0.627, -0.199, -1.830], [0.452, 0.942, -0.845], [0.229, 0.432, 0.496], [-1.180, 0.332, 0.630], [-1.316, -0.722, 1.609], [-0.132, -1.081, 2.084], [0.791, -0.361, 1.390], [0.746, 0.205, -2.841], [1.514, -0.822, -1.613], [-0.245, -0.866, -1.842], [-1.219, 0.623, -0.606], [1.291, 1.642, -0.870], [-1.614, 1.294, 0.929], [-2.236, -1.183, 1.953], [1.863, -0.470, 1.506]], "forces_ev_per_a": [[-0.04, -0.07, -0.05], [0.35, 0.15, -0.12], [-0.03, -0.15, 0.15], [0.12, -0.08, 0.18], [-0.04, -0.05, 0.00], [-0.20, 0.14, -0.13], [0.06, 0.11, -0.19], [-0.04, -0.06, 0.18], [-0.11, 0.08, -0.01], [0.16, 0.04, -0.01], [-0.08, 0.01, 0.08], [-0.08, -0.02, -0.02], [-0.01, -0.14, -0.07], [0.18, 0.07, 0.04], [-0.19, -0.05, -0.02]], "e_above_lowest_ev": 4.6864, "total_energy_ev": -8290.3099}

No. 4
*/

The study’s goal is to provide the business with areas of improvement as well as concrete evidence that cuddling can be, in fact, a healing modality for many.

Photograph by Emme Harris.